Activity.
Search the contents further down for the word "over" and retype each line that has it, please.

Entries.
'''
Rb2CoOsO6 | GGA+U | optimized geometry

Calculated values
Its density of states at the Fermi level is 0.627 states/eV/atom. As for the space-group type: P-3m1 (164). The calculation puts the total energy at -5.977 eV per atom.

abc: 4.909 6.209 6.209
angles: 120.00 90.00 90.00
Fractional positions:
Rb  0.289  0.333  0.667
Rb  0.711  0.667  0.333
O  0.751  0.138  0.276
O  0.249  0.862  0.138
O  0.751  0.138  0.862
O  0.249  0.276  0.138
O  0.751  0.724  0.862
O  0.249  0.862  0.724
Os  0.000  0.000  0.000
Co  0.500  0.000  0.000


Record 1
DFT (PBE) results for LaAgSb2Rh after structural relaxation.

Cell: 5.2356 5.0196 5.2356 Å, 90.00 90.00 90.00°
Fractional coordinates of all 5 atoms:
1 Sb 0.5000 0.0000 0.0000
2 Ag 0.0000 0.0000 0.0000
3 Rh 0.0000 0.5000 0.0000
4 Sb 0.0000 0.0000 0.5000
5 La 0.5000 0.5000 0.5000

Properties
ΔE_f (raw)   0.1761 eV per atom

Record 2
DFT (PBE) results for LaAgSbRh2 after structural relaxation.

Cell: 5.0102 4.9354 5.0102 Å, 90.00 90.00 90.00°
Each line ends with the local moment (μB).
Fractional coordinates of all 5 atoms:
1 Rh 0.5000 0.0000 0.0000  0.29
2 Rh 0.0000 0.0000 0.5000  0.35
3 La 0.5000 0.5000 0.5000  -0.02
4 Ag 0.0000 0.0000 0.0000  0.00
5 Sb 0.0000 0.5000 0.0000  0.03

Properties
ΔE_f (raw)   0.4189 eV per atom

Record 3
DFT (PBE) results for La2AgSb3Rh4 after structural relaxation.

Cell: 4.3819 4.3819 11.2316 Å, 90.00 90.00 90.00°
Fractional coordinates of all 10 atoms:
1 Rh 0.0000 0.0000 0.0000
2 La 0.5000 0.0000 0.2608
3 Rh 0.5000 0.0000 0.6422
4 Sb 0.0000 0.5000 0.1314
5 Sb 0.5000 0.0000 0.8686
6 Rh 0.0000 0.5000 0.3578
7 Rh 0.5000 0.5000 0.0000
8 Ag 0.5000 0.5000 0.5000
9 La 0.0000 0.5000 0.7392
10 Sb 0.0000 0.0000 0.5000

Properties
ΔE_f (raw)   -0.7524 eV per atom

Record 4
DFT (PBE) results for LaAgSnRh after structural relaxation.

Cell: 4.9856 4.9856 4.9856 Å, 60.00 60.00 60.00°
Fractional coordinates of all 4 atoms:
1 Rh 0.0000 0.0000 0.0000
2 Ag 0.5000 0.5000 0.5000
3 Sn 0.2500 0.2500 0.2500
4 La 0.7500 0.7500 0.7500

Properties
Energy relative to the elements   -0.440 eV per atom

Record 5
DFT (PBE) results for SrLaAgRh after structural relaxation.

Cell: 5.2552 5.2552 5.2552 Å, 60.00 60.00 60.00°
Fractional coordinates of all 4 atoms:
1 La 0.0000 0.0000 0.0000
2 Ag 0.2500 0.2500 0.2500
3 Rh 0.7500 0.7500 0.7500
4 Sr 0.5000 0.5000 0.5000

Properties
Energy relative to the elements   -0.332 eV per atom

Record 6
DFT (PBE) results for LaThAgRh after structural relaxation.

Cell: 5.1922 5.1922 5.1922 Å, 60.00 60.00 60.00°
Fractional coordinates of all 4 atoms:
1 La 0.5000 0.5000 0.5000
2 Th 0.0000 0.0000 0.0000
3 Rh 0.7500 0.7500 0.7500
4 Ag 0.2500 0.2500 0.2500

Properties
Energy relative to the elements   -0.376 eV per atom

Record 7
DFT (PBE) results for LaTlAg2Rh after structural relaxation.

Cell: 5.1417 5.0606 5.1417 Å, 90.00 90.00 90.00°
Fractional coordinates of all 5 atoms:
1 Ag 0.0000 0.0000 0.5000
2 Rh 0.0000 0.0000 0.0000
3 Ag 0.5000 0.0000 0.0000
4 Tl 0.0000 0.5000 0.0000
5 La 0.5000 0.5000 0.5000

Properties
Energy relative to the elements   0.169 eV per atom

Record 8
DFT (PBE) results for LaTlAgRh after structural relaxation.

Cell: 5.0221 5.0221 5.0221 Å, 60.00 60.00 60.00°
Fractional coordinates of all 4 atoms:
1 Ag 0.2500 0.2500 0.2500
2 Rh 0.7500 0.7500 0.7500
3 La 0.0000 0.0000 0.0000
4 Tl 0.5000 0.5000 0.5000

Properties
Energy relative to the elements   -0.255 eV per atom

Record 9
DFT (PBE) results for La2ZnAgRh after structural relaxation.

Cell: 4.2987 7.7777 7.8679 Å, 109.46 90.00 90.00°
Fractional coordinates of all 10 atoms:
1 La 0.7500 0.7203 0.0376
2 Zn 0.7500 0.4491 0.3399
3 Zn 0.2500 0.5509 0.6601
4 Ag 0.7500 0.3334 0.6648
5 La 0.2500 0.2797 0.9624
6 Ag 0.2500 0.6666 0.3352
7 La 0.2500 0.1291 0.3543
8 Rh 0.7500 0.1244 0.1062
9 Rh 0.2500 0.8756 0.8938
10 La 0.7500 0.8709 0.6457

Properties
Excess energy over the best structure of this formula in the dataset   0.0 meV/atom
Energy relative to the elements   -0.495 eV per atom

Record 10
'''

Worked solution.
Excess energy over the best structure of this formula in the dataset   0.0 meV/atom